-- begin --
[1]
Cs4Ac3AgO8: theoretical powder diffractogram (a wavelength of 1.5418 Å), based on a crystal structure in Alexandria, relaxed with GGA-PBE.
Neutral-atom scattering factors, no anomalous dispersion.

Structure:
```
16
Lattice="6.9270 -3.7010 0.0000 6.9270 3.7010 0.0000 -3.7361 0.0000 7.0903" Properties=species:S:1:pos:R:3 pbc="T T T"
Cs 0.0000 0.0000 0.0000
Cs 3.4635 1.8505 0.0000
Cs 3.4635 -1.8505 0.0000
Cs 6.9270 0.0000 0.0000
Ac -1.8680 0.0000 3.5451
Ac 1.5954 1.8505 3.5451
Ac 1.5954 -1.8505 3.5451
Ag 5.0589 0.0000 3.5451
O 0.3470 0.0000 4.7737
O 1.9607 0.0000 1.9773
O 4.0456 1.5653 4.5899
O 6.0722 1.5653 2.5004
O 4.0456 -1.5653 4.5899
O 6.0722 -1.5653 2.5004
O 8.1571 0.0000 5.1129
O 9.7709 0.0000 2.3166
```

Largest 12 diffraction maxima, low angle first, 2θ from 10° to 90°:
d/Å	two_theta	intensity
7.090	12.5	15
3.545	25.1	48
3.165	28.2	100
3.064	29.1	42
2.709	33.1	61
2.122	42.6	28
1.988	45.6	11
1.948	46.6	23
1.789	51.1	16
1.735	52.8	14
1.636	56.2	11
1.584	58.2	11


[2]
CsAcAgS3: theoretical powder diffractogram (a wavelength of 1.5418 Å), based on a crystal structure in Alexandria, relaxed with GGA-PBE.
Neutral-atom scattering factors, no anomalous dispersion.

Structure:
```
12
Lattice="2.2410 -7.4393 0.0000 2.2410 7.4393 0.0000 0.0000 0.0000 11.7100" Properties=species:S:1:pos:R:3 pbc="T T T"
Cs 2.2410 3.9053 8.7825
Cs 2.2410 -3.9053 2.9275
Ac 2.2410 0.0000 0.0000
Ac 2.2410 0.0000 5.8550
Ag 2.2410 6.7193 2.9275
Ag 2.2410 -6.7193 8.7825
S 2.2410 5.5987 0.6925
S 2.2410 5.5987 5.1625
S 2.2410 0.5955 2.9275
S 2.2410 -0.5955 8.7825
S 2.2410 -5.5987 6.5474
S 2.2410 -5.5987 11.0175
```

Largest 12 diffraction maxima, low angle first, 2θ from 10° to 90°:
d/Å	two_theta	intensity
7.439	11.9	94
4.601	19.3	69
3.720	23.9	46
3.461	25.7	100
3.325	26.8	40
3.199	27.9	76
2.927	30.5	57
2.891	30.9	77
2.300	39.2	36
2.283	39.5	70
1.778	51.4	50
1.605	57.4	41


[3]
AcCuAg: theoretical powder diffractogram (a wavelength of 1.5418 Å), based on a crystal structure in Alexandria, relaxed with GGA-PBE.
Neutral-atom scattering factors, no anomalous dispersion.

Structure:
```
12
Lattice="17.2415 0.0000 0.0000 0.0000 4.3633 0.0000 -0.9977 0.0000 4.0893" Properties=species:S:1:pos:R:3 pbc="T T T"
Ac 1.6141 0.0000 1.4920
Ac 6.0090 2.1816 2.5973
Ac 10.2348 2.1816 1.4920
Ac 14.6297 0.0000 2.5973
Cu -0.1185 2.1816 3.2201
Cu 7.7416 0.0000 0.8691
Cu 8.5022 0.0000 3.2201
Cu 16.3624 2.1816 0.8691
Ag 2.4913 2.1816 3.8754
Ag 5.1318 0.0000 0.2138
Ag 11.1120 0.0000 3.8754
Ag 13.7526 2.1816 0.2138
```

Largest 12 diffraction maxima, low angle first, 2θ from 10° to 90°:
d/Å	two_theta	intensity
4.188	21.2	25
3.373	26.4	31
3.349	26.6	30
2.854	31.3	100
2.844	31.5	99
2.657	33.7	91
2.182	41.4	38
2.105	43.0	34
2.087	43.4	24
2.074	43.6	24
1.654	55.5	22
1.515	61.2	23


[4]
Ac2Cu9Ag: theoretical powder diffractogram (a wavelength of 1.5418 Å), based on a crystal structure in Alexandria, relaxed with GGA-PBE.
Neutral-atom scattering factors, no anomalous dispersion.

Structure:
```
12
Lattice="2.6312 1.5191 8.5497 -2.6312 1.5191 8.5497 0.0000 -3.0383 8.5497" Properties=species:S:1:pos:R:3 pbc="T T T"
Ac 0.0000 0.0000 3.3781
Ac 0.0000 0.0000 22.2711
Cu -1.3097 -0.7562 10.5051
Cu 0.0000 0.0000 8.5290
Cu 0.0000 -1.5123 15.1441
Cu -1.3097 0.7562 15.1441
Cu 0.0000 0.0000 12.8246
Cu 1.3097 -0.7562 10.5051
Cu 0.0000 1.5123 10.5051
Cu 0.0000 0.0000 17.1202
Cu 1.3097 0.7562 15.1441
Ag 0.0000 0.0000 0.0000
```

Largest 12 diffraction maxima, low angle first, 2θ from 10° to 90°:
d/Å	two_theta	intensity
3.715	24.0	39
2.855	31.3	71
2.631	34.1	84
2.622	34.2	85
2.270	39.7	58
2.241	40.2	100
2.147	42.1	26
2.082	43.5	36
2.076	43.6	30
1.933	47.0	29
1.518	61.0	48
1.316	71.7	32


[5]
Ac2Cu3Ag2: theoretical powder diffractogram (a wavelength of 1.5418 Å), based on a crystal structure in Alexandria, relaxed with GGA-PBE.
Neutral-atom scattering factors, no anomalous dispersion.

Structure:
```
14
-- stop --

Next, count the lines further above that contain the word "to" and give the number alone.

4